What is needed: repeat the block below from the first line to the one with "-0.015 -0.012" without additions.

____________
[1]
17
Properties=species:S:1:pos:R:3:forces:R:3:mulliken_charge:R:1 method="wB97M-V/def2-TZVPD" gap_ev=9.4 homo_energy_ev=-8.559 de_lowest_kcal_mol=38.87
H 2.3447 -0.2961 -0.1522 0.426 0.095 -0.497 0.282
C -0.7571 0.8352 -0.9886 -0.554 0.268 0.009 -1.062
H -2.1936 -0.8166 1.2732 0.639 -0.090 -0.165 0.354
C -0.0389 -0.8441 0.7157 -0.478 -0.068 0.443 -0.035
H 1.5924 1.4576 1.3230 -0.565 -0.264 -0.218 0.270
N 0.6619 1.5248 0.8907 1.000 -1.135 0.711 -0.721
H 0.2515 -0.8620 1.7854 0.109 -0.084 -0.474 0.281
H 0.6547 2.3749 0.4215 -0.081 1.965 -0.933 0.235
H 1.5187 -0.4434 -1.7637 -0.077 -0.065 -0.036 0.261
H -1.5911 -2.3050 0.5326 -0.009 -0.530 0.024 0.428
O 0.8047 -1.6192 -0.1392 -0.021 -0.563 -0.077 -0.422
C 0.3679 0.4514 -0.0264 -1.586 -0.323 0.671 0.939
C 1.3975 -0.4415 -0.6820 1.256 0.049 0.779 -0.633
H -0.3276 1.1048 -1.9627 -0.318 -0.439 0.015 0.437
H -1.2737 1.7580 -0.6487 0.023 -0.749 0.089 0.401
C -1.4904 -1.2342 0.5270 -0.282 0.670 0.422 -0.816
S -1.9217 -0.6448 -1.1055 0.517 1.263 -0.763 -0.199

=====

[2]
72
Properties=species:S:1:pos:R:3:forces:R:3:mulliken_spin:R:1 method="wB97M-V/def2-TZVPD" s_squared=6.07 gap_ev="6.2 / 7.0" homo_energy_ev="-2.356 / -3.177" charge=-2 multiplicity=5 de_lowest_kcal_mol=40.63
H -3.1330 2.3609 -1.0949 0.032 -0.057 0.009 0.000
H 0.1857 0.3942 5.7625 -0.002 0.004 -0.039 0.000
H -5.1904 2.2642 -0.1364 -0.031 -0.029 -0.041 0.000
H 4.3130 1.8124 3.9246 -0.027 -0.041 -0.020 -0.001
H -5.3572 0.3617 -3.3672 -0.022 -0.019 0.031 0.000
C 3.5032 4.5843 -0.4152 -0.028 -0.080 0.053 0.001
H -5.2870 2.4302 -1.8962 -0.010 -0.039 0.056 0.000
H -5.2262 -0.0862 0.9165 -0.036 -0.010 -0.039 0.000
C -5.7350 -0.1907 -2.5029 -0.016 -0.018 -0.056 0.000
C 3.2913 -2.7927 -0.2271 0.029 -0.150 0.090 0.061
C 2.3743 1.0531 4.3773 -0.112 -0.039 0.027 0.032
H -5.4282 -1.5025 -0.1165 -0.004 0.060 0.007 0.000
H -1.4914 -4.6432 -0.8489 -0.015 0.069 0.012 0.000
C -3.6059 0.2587 -1.2481 -0.046 0.050 0.053 0.004
S 5.6606 1.0199 -0.6974 -0.589 0.016 -0.118 0.222
F 3.4687 4.6103 0.9148 -0.015 0.047 0.057 0.000
H -6.8279 -0.1083 -2.4871 0.044 -0.008 0.002 0.000
S 3.8487 -4.3205 -0.1428 -0.040 0.062 -0.025 0.040
H -1.8954 -1.4824 2.5133 0.032 -0.011 0.005 0.001
H -2.8704 -3.5654 -0.5680 0.059 -0.009 0.004 0.000
O 3.8161 3.0663 -2.5111 -0.109 0.109 0.202 0.003
C 3.3527 0.9772 2.1789 -0.020 0.044 0.074 -0.015
H -1.4457 -4.0808 -3.2829 -0.007 0.044 0.003 0.000
C 7.3213 1.3958 0.8198 -0.100 0.161 -0.096 0.538
H -6.6879 1.8458 -0.9841 0.033 0.006 -0.010 0.000
C 2.2572 0.3673 1.6192 0.126 0.027 -0.073 -0.189
S 3.7860 2.9068 -1.0809 -0.110 -0.368 0.076 -0.015
H 0.7575 -2.7456 -0.7214 0.006 0.003 0.004 0.007
H -1.8120 -0.7663 4.9092 0.016 0.010 -0.027 -0.001
F 8.2175 0.4107 0.6693 0.093 -0.079 0.047 0.024
C -2.7558 1.3481 -1.1539 -0.078 -0.029 -0.044 -0.005
C -1.6096 -1.1957 -1.3730 -0.163 -0.109 -0.013 0.000
O 2.5444 2.2334 -0.5746 0.564 0.162 -0.249 -0.018
C -1.7783 -3.6125 -0.6124 -0.058 0.030 -0.007 0.001
H -1.3851 -3.3753 0.3787 -0.006 0.019 -0.015 0.000
O 4.2977 0.3876 -1.1742 0.175 -0.372 0.306 0.154
C -1.0263 -0.9551 2.8919 -0.004 0.038 0.107 0.008
H -0.0002 -1.0114 1.0297 -0.022 -0.013 -0.072 -0.008
C -5.6710 -0.4416 -0.0166 0.020 -0.027 0.041 0.000
H -1.3126 -2.3976 -3.8233 -0.020 -0.029 0.038 0.000
H -6.7608 -0.3445 0.0551 0.056 -0.015 -0.012 0.000
O 6.5552 1.0232 -1.8470 -0.026 0.033 0.080 0.027
C -0.9809 -0.5481 4.2467 0.011 -0.056 -0.107 -0.007
Cr 2.4415 0.1685 -0.4288 -0.164 0.717 0.174 3.195
C -5.5958 1.8145 -1.0464 0.015 0.056 -0.013 0.000
H -5.4766 -1.2434 -2.6409 -0.005 0.052 0.006 0.000
C 0.1241 0.0993 4.7184 0.063 0.014 -0.035 0.006
N 5.1058 2.5608 -0.3322 -0.303 -0.095 -0.422 0.034
F 4.4593 5.4142 -0.8330 0.080 0.186 0.008 0.000
F 2.3309 5.0362 -0.8748 -0.102 0.150 -0.001 0.000
C -1.3841 1.1704 -1.1342 0.026 -0.020 0.113 0.005
O 0.5624 -0.2285 -0.9737 -0.031 0.370 -0.275 0.032
H 0.4961 -3.9375 -1.9952 0.003 0.030 0.020 0.000
C 0.3103 -2.9005 -1.6967 0.102 -0.017 -0.051 -0.008
____________

[1]
17
Properties=species:S:1:pos:R:3:forces:R:3:mulliken_charge:R:1 method="wB97M-V/def2-TZVPD" gap_ev=9.4 homo_energy_ev=-8.559 de_lowest_kcal_mol=38.87
H 2.3447 -0.2961 -0.1522 0.426 0.095 -0.497 0.282
C -0.7571 0.8352 -0.9886 -0.554 0.268 0.009 -1.062
H -2.1936 -0.8166 1.2732 0.639 -0.090 -0.165 0.354
C -0.0389 -0.8441 0.7157 -0.478 -0.068 0.443 -0.035
H 1.5924 1.4576 1.3230 -0.565 -0.264 -0.218 0.270
N 0.6619 1.5248 0.8907 1.000 -1.135 0.711 -0.721
H 0.2515 -0.8620 1.7854 0.109 -0.084 -0.474 0.281
H 0.6547 2.3749 0.4215 -0.081 1.965 -0.933 0.235
H 1.5187 -0.4434 -1.7637 -0.077 -0.065 -0.036 0.261
H -1.5911 -2.3050 0.5326 -0.009 -0.530 0.024 0.428
O 0.8047 -1.6192 -0.1392 -0.021 -0.563 -0.077 -0.422
C 0.3679 0.4514 -0.0264 -1.586 -0.323 0.671 0.939
C 1.3975 -0.4415 -0.6820 1.256 0.049 0.779 -0.633
H -0.3276 1.1048 -1.9627 -0.318 -0.439 0.015 0.437
H -1.2737 1.7580 -0.6487 0.023 -0.749 0.089 0.401
C -1.4904 -1.2342 0.5270 -0.282 0.670 0.422 -0.816
S -1.9217 -0.6448 -1.1055 0.517 1.263 -0.763 -0.199

=====

[2]
72
Properties=species:S:1:pos:R:3:forces:R:3:mulliken_spin:R:1 method="wB97M-V/def2-TZVPD" s_squared=6.07 gap_ev="6.2 / 7.0" homo_energy_ev="-2.356 / -3.177" charge=-2 multiplicity=5 de_lowest_kcal_mol=40.63
H -3.1330 2.3609 -1.0949 0.032 -0.057 0.009 0.000
H 0.1857 0.3942 5.7625 -0.002 0.004 -0.039 0.000
H -5.1904 2.2642 -0.1364 -0.031 -0.029 -0.041 0.000
H 4.3130 1.8124 3.9246 -0.027 -0.041 -0.020 -0.001
H -5.3572 0.3617 -3.3672 -0.022 -0.019 0.031 0.000
C 3.5032 4.5843 -0.4152 -0.028 -0.080 0.053 0.001
H -5.2870 2.4302 -1.8962 -0.010 -0.039 0.056 0.000
H -5.2262 -0.0862 0.9165 -0.036 -0.010 -0.039 0.000
C -5.7350 -0.1907 -2.5029 -0.016 -0.018 -0.056 0.000
C 3.2913 -2.7927 -0.2271 0.029 -0.150 0.090 0.061
C 2.3743 1.0531 4.3773 -0.112 -0.039 0.027 0.032
H -5.4282 -1.5025 -0.1165 -0.004 0.060 0.007 0.000
H -1.4914 -4.6432 -0.8489 -0.015 0.069 0.012 0.000
C -3.6059 0.2587 -1.2481 -0.046 0.050 0.053 0.004
S 5.6606 1.0199 -0.6974 -0.589 0.016 -0.118 0.222
F 3.4687 4.6103 0.9148 -0.015 0.047 0.057 0.000
H -6.8279 -0.1083 -2.4871 0.044 -0.008 0.002 0.000
S 3.8487 -4.3205 -0.1428 -0.040 0.062 -0.025 0.040
H -1.8954 -1.4824 2.5133 0.032 -0.011 0.005 0.001
H -2.8704 -3.5654 -0.5680 0.059 -0.009 0.004 0.000
O 3.8161 3.0663 -2.5111 -0.109 0.109 0.202 0.003
C 3.3527 0.9772 2.1789 -0.020 0.044 0.074 -0.015
H -1.4457 -4.0808 -3.2829 -0.007 0.044 0.003 0.000
C 7.3213 1.3958 0.8198 -0.100 0.161 -0.096 0.538
H -6.6879 1.8458 -0.9841 0.033 0.006 -0.010 0.000
C 2.2572 0.3673 1.6192 0.126 0.027 -0.073 -0.189
S 3.7860 2.9068 -1.0809 -0.110 -0.368 0.076 -0.015
H 0.7575 -2.7456 -0.7214 0.006 0.003 0.004 0.007
H -1.8120 -0.7663 4.9092 0.016 0.010 -0.027 -0.001
F 8.2175 0.4107 0.6693 0.093 -0.079 0.047 0.024
C -2.7558 1.3481 -1.1539 -0.078 -0.029 -0.044 -0.005
C -1.6096 -1.1957 -1.3730 -0.163 -0.109 -0.013 0.000
O 2.5444 2.2334 -0.5746 0.564 0.162 -0.249 -0.018
C -1.7783 -3.6125 -0.6124 -0.058 0.030 -0.007 0.001
H -1.3851 -3.3753 0.3787 -0.006 0.019 -0.015 0.000
O 4.2977 0.3876 -1.1742 0.175 -0.372 0.306 0.154
C -1.0263 -0.9551 2.8919 -0.004 0.038 0.107 0.008
H -0.0002 -1.0114 1.0297 -0.022 -0.013 -0.072 -0.008
C -5.6710 -0.4416 -0.0166 0.020 -0.027 0.041 0.000
H -1.3126 -2.3976 -3.8233 -0.020 -0.029 0.038 0.000
H -6.7608 -0.3445 0.0551 0.056 -0.015 -0.012 0.000